/*
Starting from DFT lattice parameters and positions (GGA+U), the XRD peak list of MgCd2Ni4O8 was computed for Cu Kα (weighted mean of Kα1 and Kα2).

```
MgCd2Ni4O8
1.0
-2.958 2.958 5.721
2.958 -2.958 5.721
2.958 2.958 -5.721
Mg Cd Ni O
1 2 4 8
direct
0.000 0.000 0.000
0.250 0.750 0.500
0.500 0.500 0.000
0.426 0.171 0.255
0.829 0.085 0.255
0.829 0.574 0.745
0.915 0.171 0.745
0.076 0.349 0.727
0.081 0.869 0.212
0.131 0.342 0.212
0.131 0.919 0.788
0.622 0.349 0.273
0.651 0.378 0.727
0.651 0.924 0.273
0.658 0.869 0.788
```

Top 8 peaks for 2θ = 10–80°, low angle first:
26.40°, intensity 100
27.83°, intensity 74
30.22°, intensity 35
34.81°, intensity 98
44.04°, intensity 35
51.39°, intensity 28
54.34°, intensity 39
56.68°, intensity 32

---

Starting from DFT lattice parameters and positions (GGA+U), the XRD peak list of MgCd2Ni4O8 was computed for Cu Kα (weighted mean of Kα1 and Kα2).

```
MgCd2Ni4O8
1.0
5.800 0.000 0.000
2.899 5.369 0.000
0.022 3.108 5.468
Mg Cd Ni O
1 2 4 8
direct
0.000 0.000 0.000
0.206 0.570 0.496
0.939 0.122 0.498
0.004 0.489 0.010
0.507 0.490 0.009
0.518 0.964 0.036
0.548 0.903 0.549
0.232 0.534 0.181
0.262 0.974 0.277
0.292 0.945 0.790
0.304 0.392 0.871
0.728 0.543 0.183
0.761 0.973 0.276
0.767 0.942 0.790
0.776 0.451 0.821
```

Top 8 peaks for 2θ = 10–80°, low angle first:
20.89°, intensity 56
29.40°, intensity 87
30.83°, intensity 47
32.66°, intensity 96
32.75°, intensity 100
34.81°, intensity 59
34.96°, intensity 47
38.57°, intensity 68

---

Starting from DFT lattice parameters and positions (GGA+U), the XRD peak list of Sr2MgCdWO6 was computed for Cu Kα (weighted mean of Kα1 and Kα2).

```
Sr2MgCdWO6
1.0
5.514 0.000 0.000
-0.677 5.841 0.000
-1.858 -2.566 5.225
Sr Mg Cd W O
2 1 1 1 6
direct
0.179 0.237 0.423
0.821 0.763 0.577
0.500 0.500 0.000
0.500 0.000 0.000
0.000 0.500 0.000
0.173 0.182 0.847
0.200 0.633 0.814
0.351 0.628 0.301
0.649 0.372 0.699
0.800 0.367 0.186
0.827 0.818 0.153
```

Top 8 peaks for 2θ = 10–80°, low angle first:
16.95°, intensity 43
26.53°, intensity 39
27.56°, intensity 100
30.70°, intensity 52
30.97°, intensity 44
32.92°, intensity 27
34.32°, intensity 22
42.61°, intensity 19

---

Starting from DFT lattice parameters and positions (GGA+U), the XRD peak list of Sr2MgCdWO6 was computed for Cu Kα (weighted mean of Kα1 and Kα2).

```
Sr2MgCdWO6
1.0
4.439 -4.008 0.000
4.439 4.008 0.000
-4.377 0.000 4.773
Sr Mg Cd W O
2 1 1 1 6
direct
0.200 0.800 0.000
0.800 0.200 0.000
0.171 0.171 0.715
0.749 0.749 0.382
0.432 0.432 0.535
0.143 0.143 0.388
0.182 0.723 0.564
0.263 0.263 0.091
0.497 0.497 0.927
0.723 0.182 0.564
0.725 0.725 0.698
```

Top 8 peaks for 2θ = 10–80°, low angle first:
20.00°, intensity 73
22.18°, intensity 34
27.62°, intensity 64
29.09°, intensity 100
31.78°, intensity 44
33.51°, intensity 55
36.32°, intensity 45
45.26°, intensity 39

---

Starting from DFT lattice parameters and positions (GGA+U), the XRD peak list of Mg14VCdO16 was computed for Cu Kα (weighted mean of Kα1 and Kα2).

```
Mg14VCdO16
1.0
8.616 0.000 0.000
0.000 8.616 0.000
0.000 0.000 4.320
Mg V Cd O
14 1 1 16
direct
0.000 0.250 0.000
0.000 0.500 0.500
0.000 0.750 0.000
0.245 0.500 0.000
0.248 0.248 0.500
0.248 0.752 0.500
0.250 0.000 0.000
0.500 0.000 0.500
0.500 0.245 0.000
0.500 0.755 0.000
0.750 0.000 0.000
0.752 0.248 0.500
0.752 0.752 0.500
0.755 0.500 0.000
0.000 0.000 0.500
0.500 0.500 0.500
0.000 0.000 0.000
0.000 0.253 0.500
0.000 0.500 0.000
0.000 0.747 0.500
0.235 0.500 0.500
0.250 0.250 0.000
0.250 0.750 0.000
0.253 0.000 0.500
0.500 0.000 0.000
0.500 0.235 0.500
0.500 0.500 0.000
0.500 0.765 0.500
0.747 0.000 0.500
0.750 0.250 0.000
0.750 0.750 0.000
0.765 0.500 0.500
```

Top 8 peaks for 2θ = 10–80°, low angle first:
14.54°, intensity 24
20.60°, intensity 21
29.29°, intensity 18
36.08°, intensity 35
41.82°, intensity 51
41.94°, intensity 100
60.75°, intensity 86
76.53°, intensity 26

---
*/
Your job: repeat the lines earlier on word for word.
Starting from DFT lattice parameters and positions (GGA+U), the XRD peak list of MgCd2Ni4O8 was computed for Cu Kα (weighted mean of Kα1 and Kα2).

```
MgCd2Ni4O8
1.0
-2.958 2.958 5.721
2.958 -2.958 5.721
2.958 2.958 -5.721
Mg Cd Ni O
1 2 4 8
direct
0.000 0.000 0.000
0.250 0.750 0.500
0.500 0.500 0.000
0.426 0.171 0.255
0.829 0.085 0.255
0.829 0.574 0.745
0.915 0.171 0.745
0.076 0.349 0.727
0.081 0.869 0.212
0.131 0.342 0.212
0.131 0.919 0.788
0.622 0.349 0.273
0.651 0.378 0.727
0.651 0.924 0.273
0.658 0.869 0.788
```

Top 8 peaks for 2θ = 10–80°, low angle first:
26.40°, intensity 100
27.83°, intensity 74
30.22°, intensity 35
34.81°, intensity 98
44.04°, intensity 35
51.39°, intensity 28
54.34°, intensity 39
56.68°, intensity 32

---

Starting from DFT lattice parameters and positions (GGA+U), the XRD peak list of MgCd2Ni4O8 was computed for Cu Kα (weighted mean of Kα1 and Kα2).

```
MgCd2Ni4O8
1.0
5.800 0.000 0.000
2.899 5.369 0.000
0.022 3.108 5.468
Mg Cd Ni O
1 2 4 8
direct
0.000 0.000 0.000
0.206 0.570 0.496
0.939 0.122 0.498
0.004 0.489 0.010
0.507 0.490 0.009
0.518 0.964 0.036
0.548 0.903 0.549
0.232 0.534 0.181
0.262 0.974 0.277
0.292 0.945 0.790
0.304 0.392 0.871
0.728 0.543 0.183
0.761 0.973 0.276
0.767 0.942 0.790
0.776 0.451 0.821
```

Top 8 peaks for 2θ = 10–80°, low angle first:
20.89°, intensity 56
29.40°, intensity 87
30.83°, intensity 47
32.66°, intensity 96
32.75°, intensity 100
34.81°, intensity 59
34.96°, intensity 47
38.57°, intensity 68

---

Starting from DFT lattice parameters and positions (GGA+U), the XRD peak list of Sr2MgCdWO6 was computed for Cu Kα (weighted mean of Kα1 and Kα2).

```
Sr2MgCdWO6
1.0
5.514 0.000 0.000
-0.677 5.841 0.000
-1.858 -2.566 5.225
Sr Mg Cd W O
2 1 1 1 6
direct
0.179 0.237 0.423
0.821 0.763 0.577
0.500 0.500 0.000
0.500 0.000 0.000
0.000 0.500 0.000
0.173 0.182 0.847
0.200 0.633 0.814
0.351 0.628 0.301
0.649 0.372 0.699
0.800 0.367 0.186
0.827 0.818 0.153
```

Top 8 peaks for 2θ = 10–80°, low angle first:
16.95°, intensity 43
26.53°, intensity 39
27.56°, intensity 100
30.70°, intensity 52
30.97°, intensity 44
32.92°, intensity 27
34.32°, intensity 22
42.61°, intensity 19

---

Starting from DFT lattice parameters and positions (GGA+U), the XRD peak list of Sr2MgCdWO6 was computed for Cu Kα (weighted mean of Kα1 and Kα2).

```
Sr2MgCdWO6
1.0
4.439 -4.008 0.000
4.439 4.008 0.000
-4.377 0.000 4.773
Sr Mg Cd W O
2 1 1 1 6
direct
0.200 0.800 0.000
0.800 0.200 0.000
0.171 0.171 0.715
0.749 0.749 0.382
0.432 0.432 0.535
0.143 0.143 0.388
0.182 0.723 0.564
0.263 0.263 0.091
0.497 0.497 0.927
0.723 0.182 0.564
0.725 0.725 0.698
```

Top 8 peaks for 2θ = 10–80°, low angle first:
20.00°, intensity 73
22.18°, intensity 34
27.62°, intensity 64
29.09°, intensity 100
31.78°, intensity 44
33.51°, intensity 55
36.32°, intensity 45
45.26°, intensity 39

---

Starting from DFT lattice parameters and positions (GGA+U), the XRD peak list of Mg14VCdO16 was computed for Cu Kα (weighted mean of Kα1 and Kα2).

```
Mg14VCdO16
1.0
8.616 0.000 0.000
0.000 8.616 0.000
0.000 0.000 4.320
Mg V Cd O
14 1 1 16
direct
0.000 0.250 0.000
0.000 0.500 0.500
0.000 0.750 0.000
0.245 0.500 0.000
0.248 0.248 0.500
0.248 0.752 0.500
0.250 0.000 0.000
0.500 0.000 0.500
0.500 0.245 0.000
0.500 0.755 0.000
0.750 0.000 0.000
0.752 0.248 0.500
0.752 0.752 0.500
0.755 0.500 0.000
0.000 0.000 0.500
0.500 0.500 0.500
0.000 0.000 0.000
0.000 0.253 0.500
0.000 0.500 0.000
0.000 0.747 0.500
0.235 0.500 0.500
0.250 0.250 0.000
0.250 0.750 0.000
0.253 0.000 0.500
0.500 0.000 0.000
0.500 0.235 0.500
0.500 0.500 0.000
0.500 0.765 0.500
0.747 0.000 0.500
0.750 0.250 0.000
0.750 0.750 0.000
0.765 0.500 0.500
```

Top 8 peaks for 2θ = 10–80°, low angle first:
14.54°, intensity 24
20.60°, intensity 21
29.29°, intensity 18
36.08°, intensity 35
41.82°, intensity 51
41.94°, intensity 100
60.75°, intensity 86
76.53°, intensity 26

---